Your job: transcribe all of the lines further below with every line break kept.
********
Below is crystalline Ca2Pb2Au at its relaxed geometry, with properties calculated at the PBE-GGA level.

E above lowest polymorph in meV/atom: 218.0
ΔE_f in eV/atom: -0.326
Space group: P4/mbm, No. 127

a = 7.8793 Å, b = 7.8793 Å, c = 4.9580 Å
α = 90.00°, β = 90.00°, γ = 90.00°
Fractional coordinates of all 10 atoms:
Ca 0.1639 0.3361 0.0000
Ca 0.3361 0.8361 0.0000
Ca 0.6639 0.1639 0.0000
Ca 0.8361 0.6639 0.0000
Pb 0.1424 0.6424 0.5000
Pb 0.3576 0.1424 0.5000
Pb 0.6424 0.8576 0.5000
Pb 0.8576 0.3576 0.5000
Au 0.0000 0.0000 0.0000
Au 0.5000 0.5000 0.0000
********
Below is crystalline Ca2Pb2Au at its relaxed geometry, with properties calculated at the PBE-GGA level.

E above lowest polymorph in meV/atom: 218.0
ΔE_f in eV/atom: -0.326
Space group: P4/mbm, No. 127

a = 7.8793 Å, b = 7.8793 Å, c = 4.9580 Å
α = 90.00°, β = 90.00°, γ = 90.00°
Fractional coordinates of all 10 atoms:
Ca 0.1639 0.3361 0.0000
Ca 0.3361 0.8361 0.0000
Ca 0.6639 0.1639 0.0000
Ca 0.8361 0.6639 0.0000
Pb 0.1424 0.6424 0.5000
Pb 0.3576 0.1424 0.5000
Pb 0.6424 0.8576 0.5000
Pb 0.8576 0.3576 0.5000
Au 0.0000 0.0000 0.0000
Au 0.5000 0.5000 0.0000